Male figure

We all need a hero. Someone to look up to.

Even subconsciously.

Most of the time, it’s our Dad.

When mature enough to know there are shades of grey and our Dad had been far from perfect, we grew confused.

The same happened when our leaders betrayed us.

From coach to banker, from monk to priest, they failed us one by one.

I remember a ranking that had lawyers, politicians and used-car salesmen at the top (of low trust) and physicians, teachers and firemen on the other end (of high trust).

My Dad (and in his younger version, me) was far from perfect.

He carried on simultaneously two families, fathered and nurtured two young kids (me and my half-sister).

But until I have a free weekend, seeing the Pho (noodle soup) place next to a Catholic Church (Bac Ha)  that memories flushed back. I understood now that he had struggled with his own moral dilemma. And however short,  those times he did spare for me, were quite special (Sunday breakfast, fried donuts and book browsing). Those outings to me were like Proust‘s A la Reserche du Temp Perdu. Time waits for no man.

I saw the list of “Icons we lost in 2011”.

I know the male figures of our time are far from being perfect: if they are not ill (Steve Jobs) then they acted on those self-destructive impulses

(Madoff), or both (Sandusky – and to a certain extent, Paterno).

My Dad breathed his last with us at his death-bed.

I saw him struggle. Indeed I had seen him struggle all his life.

Heroes don’t exist in a vacuum.

In fact, we need heroes in spite of their problems.

Those naive enough to think that this world exists for us need their heads reexamined.

There will always be a Hitler, or a Bin Laden.

But there will also be Churchill, Gandhi  and Nelson Mandela.

Unrelated to this piece: materials data.
1.
BeGa3Ir: relaxed, PBEsol.

Output
DOS at the Fermi energy = 1.64 states/eV/cell
magnetic moment = 0.00 μB per cell
energy of formation = 0.6166 eV/atom
calculated total energy = -4.1520 eV/atom

Cell lengths 4.212, 4.212, 4.212 Å; angles 90.00, 90.00, 90.00 degrees
Space group Pm-3m (No. 221)
Symmetry-distinct sites (fractional):
Be: 0.000 0.000 0.000 x1
Ga: 0.000 0.000 0.500 x3
Ir: 0.500 0.500 0.500 x1

2.
BaPbO3: relaxed, PBEsol.

Output
DOS at the Fermi energy = 1.53 states/eV/cell
magnetic moment = 0.44 μB per cell
calculated total energy = -4.9309 eV/atom

Cell lengths 4.600, 4.600, 4.600 Å; angles 90.00, 90.00, 90.00 degrees
Space group Pm-3m (No. 221)
Symmetry-distinct sites (fractional):
Ba: 0.000 0.000 0.000 x1
Pb: 0.500 0.500 0.500 x1
O: 0.000 0.000 0.500 x3

3.
Cr2FeRe: relaxed, PBEsol.

Output
DOS at the Fermi energy = 7.82 states/eV/cell
magnetic moment = 4.93 μB per cell
energy of formation = 0.1191 eV/atom
calculated total energy = -10.5758 eV/atom

Cell lengths 5.002, 8.208, 2.510 Å; angles 90.00, 109.93, 90.00 degrees
Space group C2/m (No. 12)
Symmetry-distinct sites (fractional):
Cr: 0.250 0.250 0.000 x4
Fe: 0.000 0.000 0.500 x2
Re: 0.000 0.500 0.500 x2

4.
Ta2Be2Nb: relaxed, PBEsol.

Output
DOS at the Fermi energy = 10.03 states/eV/cell
magnetic moment = 0.00 μB per cell
energy of formation = -0.1375 eV/atom
calculated total energy = -8.9222 eV/atom

Cell lengths 6.443, 6.443, 3.337 Å; angles 90.00, 90.00, 90.00 degrees
Space group P4/mbm (No. 127)
Symmetry-distinct sites (fractional):
Ta: 0.179 0.321 0.000 x4
Be: 0.113 0.613 0.500 x4
Nb: 0.000 0.000 0.500 x2

5.
ReRhBr2N: relaxed, PBEsol.

Output
DOS at the Fermi energy = 2.25 states/eV/cell
magnetic moment = 6.53 μB per cell
calculated total energy = -4.5916 eV/atom

Cell lengths 5.136, 5.136, 4.751 Å; angles 90.00, 90.00, 90.00 degrees
Space group P4/mmm (No. 123)
Symmetry-distinct sites (fractional):
Re: 0.000 0.000 0.000 x1
Rh: 0.000 0.000 0.500 x1
Br: 0.000 0.500 0.500 x2
N: 0.500 0.500 0.000 x1

6.
RePPt: relaxed, PBEsol.

Output
DOS at the Fermi energy = 17.82 states/eV/cell
magnetic moment = 3.86 μB per cell
energy of formation = 0.8658 eV/atom
calculated total energy = -7.8299 eV/atom

Cell lengths 5.871, 5.871, 5.871 Å; angles 90.00, 90.00, 90.00 degrees
Space group F-43m (No. 216)
Symmetry-distinct sites (fractional):
Re: 0.000 0.000 0.000 x4
P: 0.000 0.000 0.500 x4
Pt: 0.250 0.250 0.250 x4

7.
YInPd3: relaxed, PBEsol.

Output
DOS at the Fermi energy = 2.11 states/eV/cell
magnetic moment = 0.00 μB per cell
energy of formation = 0.5175 eV/atom
calculated total energy = -5.0188 eV/atom

Cell lengths 4.931, 4.931, 4.931 Å; angles 90.00, 90.00, 90.00 degrees
Space group Pm-3m (No. 221)
Symmetry-distinct sites (fractional):
Y: 0.000 0.000 0.000 x1
In: 0.500 0.500 0.500 x1
So much for the materials data.

TIME’s person of this year was the Protester.

A few years back, it was YOU (me).

What happened there? The YOU in digital forms stopped being heroes, leaving only a small portion of dissenters (who called themselves 99 percenters) out there in the impersonal public square.

When people feel strongly enough to die for a cause, it’s time our leaders pay attention.

Maybe we have failed one another.

Maybe we are all immature, like ancient popes who insisted that the sun orbit around the Earth.

Male or female,  we all fell short of our own expectations.

My Dad certainly did.

I certainly am, and just recently admitted that to myself.

I have learned to think for myself, outside of the box and bubble. For the first time in  my  life, I understood my nearest male figure.

I am on my way to accepting him for who he truly was, and with redemption, who I have become.

I hope the next generation will also come to that same realization:

that we all fall short. And that we are mature  enough to forgive ourselves and others, including our leaders, or those male figures  in the news lately.